6 Ways to Be More Sustainable in Your Tech Supply Chain
April is Earth Month and is dedicated to raising environmental awareness and creating consciousness around the issues that affect our planet and ecosystems. First celebrated in 1970, Earth Month has become a global event, and in 1992 the United Nations became actively involved, further increasing its visibility.
MCPC has a strong commitment to sustainability and as part of our technology services, we sustainably recycle electronic devices and destroy data. In fact, sustainability is one of our organization’s core pillars.
There are many versions of the recycle pyramid so we thought that we would create one specifically focused on technology. The Three Rs: Reduce, Reuse, and Recycle, are also frequently mentioned when speaking of recycling, but we believe that 6 Rs is more accurate to account for the complexity of technology sustainability.
Our take on the recycle pyramid, specifically focused on tech, includes our 6 Rs: Reduce, Redeploy, Refurbish, Remarket, Rehome, and Recycle. These “layers” are ordered from top to bottom by amount of effort and energy required to accomplish them; actions that require less effort at the top of the pyramid, those with more energy required at the bottom.
The most impactful type of recycling is reuse. It is so important that the entire middle of our tech recycling pyramid is focused on different strategies to reuse devices.

Let’s dive into each layer of the technology recycling pyramid, one by one.
There are several ways to reduce in your technology supply chain. Reusing peripherals such as monitors, docking stations, and mice saves resources, but if that’s not possible, shipping a laptop, docking station, headset, and other peripherals in one box can eliminate several boxes. This reduces material that needs to be shipped and packaging material, which can be reused or recycled.

Many times, device redeployment may be an option. This is especially true if some of your team members have a job that requires the most advanced devices on the market. A tech partner can provide you a redeploy program that cascades devices from power users to more modest users – a simple, effective act that can both reuse your paid-for technology and keep it out of landfills.

Used devices can be renewed and refurbished and given a new lease on life. A responsible technology partner can help you collect your in-field devices and manage the reverse logistics to have them returned. Then, they can be completely cleaned, the on-board data destroyed, repaired (if needed), and the operating system and software reinstalled or reimaged, based on your needs.

Misplaced calculated crystals:
┌──
(1)
Here is a geometry-optimized PuPa2Tc2 structure from the Alexandria database. Energies are from GGA-PBE.

Computed properties:
calculated total energy = -106.1 eV per cell
symmetry = Fddd

a b c (Å): 6.990 6.990 7.020
angles (deg): 122.46 122.46 85.48
Fractional coordinates of all 10 atoms:
Pa  0.813  0.564  0.626
Pa  0.564  0.813  0.126
Pa  0.436  0.187  0.874
Pa  0.187  0.436  0.374
Tc  0.607  0.393  0.750
Tc  0.393  0.607  0.250
Tc  0.857  0.143  0.250
Tc  0.143  0.857  0.750
Pu  0.875  0.125  0.750
Pu  0.125  0.875  0.250

(2)
Here is a geometry-optimized Pu2Pa8Tc structure from the Alexandria database. Energies are from GGA-PBE.

Computed properties:
calculated total energy = -114.8 eV per cell
symmetry = C2/m

a b c (Å): 4.866 6.446 9.167
angles (deg): 114.34 105.39 90.00
Fractional coordinates of all 11 atoms:
Pa  0.695  0.060  0.389
Pa  0.818  0.680  0.637
Pa  0.030  0.782  0.061
Pa  0.182  0.320  0.363
Pa  0.394  0.479  0.788
Pa  0.305  0.940  0.611
Pa  0.970  0.218  0.939
Pa  0.606  0.521  0.212
Pu  0.152  0.669  0.303
Pu  0.848  0.331  0.697
Tc  0.500  0.000  0.000

(3)
Here is a geometry-optimized Pu5PaTc6 structure from the Alexandria database. Energies are from GGA-PBE.

Computed properties:
calculated total energy = -142.3 eV per cell
symmetry = Cmmm

a b c (Å): 4.773 6.801 7.532
angles (deg): 90.00 71.49 90.00
Fractional coordinates of all 12 atoms:
Tc  0.836  0.753  0.327
Tc  0.164  0.753  0.673
Tc  0.164  0.247  0.673
Tc  0.836  0.247  0.327
Tc  0.500  0.752  0.000
Tc  0.500  0.248  0.000
Pa  0.000  0.000  0.000
Pu  0.666  0.500  0.668
Pu  0.667  0.000  0.667
Pu  0.333  0.000  0.333
Pu  0.334  0.500  0.332
Pu  0.000  0.500  0.000

(4)
Here is a geometry-optimized PuPaTc structure from the Alexandria database. Energies are from GGA-PBE.

Computed properties:
distance to the lowest polymorph of the same formula = 149 meV per atom
symmetry = Pnma

a b c (Å): 4.844 8.176 6.048
angles (deg): 90.00 90.00 90.00
Fractional coordinates of all 12 atoms:
Pu  0.250  0.052  0.792
Pu  0.250  0.448  0.292
Pu  0.750  0.552  0.708
Pu  0.750  0.948  0.208
Tc  0.250  0.766  0.971
Tc  0.250  0.734  0.471
Tc  0.750  0.266  0.529
Tc  0.750  0.234  0.029
Pa  0.750  0.890  0.667
Pa  0.250  0.390  0.833
Pa  0.750  0.610  0.167
Pa  0.250  0.110  0.333

Question: Number 4 is which compound?
Answer: PuPaTc
└──

When your devices reach the end of their useful lives, you may be able to recapture some residual value by remarketing them. A technology partner can track the fair market value of your older technology and if it still has value, can resell it to other organizations (after cleaning and destroying device data, of course). This reuse allows you to retain some of your device fleet’s value, and again, keep it out of a landfill.

A great way to be more sustainable and keep older, used devices out of landfills is to rehome them. Donating your used laptops, smartphones, and tablets to charity provides an entirely new audience access to technology. If you choose this option, you’ll want to use a partner that performs a complete erasure of all data on the device, cleans it, and disinfects it so its new owners receive a like-new device.

At the bottom of the technology recycle pyramid is recycling. If your technology has no value after it is retired, e-recycling may be the only option and the last resort. Work with a partner that maintains strict e-recycling standards and never deposits waste in a landfill, never incinerates it, and never exports toxic components to developing countries. Even better is working with someone that can provide transparency into how and when your devices are recycled and can prove that they are disposed of sustainably and in compliance with environmental regulations.

What happens to your devices when they’re recycled?
E-recycling is basically a process of separating components. Devices are dismantled, and components separated by type: power cords, plastic housings, metal brackets, circuit boards, LCD screens, etc. Then, these components are typically processed by specialized recycling partners so they can be used to manufacture new products.
There you have it: 6 ways to be more sustainable in your tech supply chain.
Technology sustainability is complex but with effort, it can be accomplished. MCPC manages our clients’ entire technology lifecycle so that it is as sustainable as possible. If you’d like to learn how a tech partner like MCPC can help you become greener and reach your sustainability goals, contact us to have an introductory conversation.
We’re the Outcome Engineers. MCPC is a global endpoint management company, founded in 2002, and our approach inspires not just endpoint defense, but business offense. By protecting your devices, bringing simplicity to endpoint management complexity, and empowering employee performance, we reduce your business risk and increases digital innovation. Our consultative approach creates a true partnership where your endpoints are just the starting point.